Data =
# 1
Entry from Materials Project: PaBi3 after structural relaxation (r2SCAN).

Computed properties:
The density comes out at 12.3 g/cm3. For the formation energy from the elements, the calculation gives -108.7 meV/atom. The value obtained for the uncorrected energy is -63.199 eV/atom.

Lattice parameters (Å, degrees): 4.595 4.595 11.006 90.00 90.00 90.00
Space group I4/mmm (No. 139)
Unique sites:
1 Pa 0.000 0.000 0.000
2 Bi 0.000 0.000 0.500
3 Bi 0.000 0.500 0.250


# 2
Entry from Materials Project: Cu3AsSe4 after structural relaxation (r2SCAN).

Computed properties:
The density comes out at 5.7 g/cm3. For the formation energy from the elements, the calculation gives -193.2 meV/atom. The value obtained for the uncorrected energy is -13.255 eV/atom.

Lattice parameters (Å, degrees): 5.559 5.559 11.050 90.00 90.00 90.00
Space group I-42m (No. 121)
Unique sites:
1 Cu 0.000 0.000 0.000
2 Cu 0.000 0.500 0.250
3 As 0.000 0.000 0.500
4 Se 0.246 0.246 0.871


# 3
Entry from Materials Project: HfO2 after structural relaxation (r2SCAN).

Computed properties:
The density comes out at 9.5 g/cm3. For the formation energy from the elements, the calculation gives -3867.7 meV/atom. The value obtained for the uncorrected energy is -22.900 eV/atom.

Lattice parameters (Å, degrees): 4.810 5.784 15.918 90.00 90.00 90.00
Space group Pbcn (No. 60)
Unique sites:
1 Hf 0.000 0.023 0.250
2 Hf 0.003 0.348 0.084
3 O 0.204 0.370 0.530
4 O 0.212 0.073 0.362
5 O 0.221 0.309 0.196


# 4
Entry from Materials Project: Ho2Mg after structural relaxation (r2SCAN).

Computed properties:
The density comes out at 6.9 g/cm3. For the formation energy from the elements, the calculation gives -65.0 meV/atom. The value obtained for the uncorrected energy is -23.376 eV/atom.

Lattice parameters (Å, degrees): 3.669 17.073 5.409 90.00 90.00 90.00
Space group Cmcm (No. 63)
Unique sites:
1 Ho 0.000 0.092 0.250
2 Ho 0.000 0.227 0.750
3 Mg 0.000 0.434 0.250


# 5
Entry from Materials Project: InP2H9N2O8 after structural relaxation (r2SCAN).

Computed properties:
The density comes out at 2.9 g/cm3. For the formation energy from the elements, the calculation gives -1419.4 meV/atom. The value obtained for the uncorrected energy is -7.679 eV/atom.

Lattice parameters (Å, degrees): 9.033 17.643 6.672 90.00 132.56 90.00
Space group Cc (No. 9)
Unique sites:
1 In 0.000 0.125 0.000
2 P 0.054 0.076 0.539
3 P 0.485 0.174 0.538
4 H 0.114 0.435 0.933
5 H 0.122 0.299 0.597
6 H 0.143 0.250 0.837
7 H 0.191 0.500 0.334
8 H 0.297 0.236 0.776
9 H 0.320 0.315 0.935
10 H 0.366 0.126 0.727
11 H 0.474 0.049 0.095
12 H 0.476 0.014 0.773
13 N 0.067 0.476 0.785
14 N 0.219 0.275 0.788
15 O 0.002 0.247 0.966
16 O 0.178 0.372 0.176
17 O 0.287 0.071 0.736
18 O 0.317 0.127 0.289
19 O 0.448 0.179 0.736
20 O 0.462 0.497 0.464
21 O 0.472 0.377 0.789
22 O 0.497 0.378 0.175


# 6
Entry from Materials Project: Hf5Sn4 after structural relaxation (r2SCAN).

Computed properties:
The density comes out at 11.7 g/cm3. For the formation energy from the elements, the calculation gives -437.3 meV/atom. The value obtained for the uncorrected energy is -36.520 eV/atom.

Lattice parameters (Å, degrees): 8.7254 8.7254 5.8692 90.00 90.00 120.00
Space group P6_3/mcm (No. 193)
Unique sites:
1 Hf 0.0000 0.2816 0.2500
2 Hf 0.3333 0.6667 0.0000
3 Sn 0.0000 0.0000 0.0000
4 Sn 0.0000 0.3874 0.7500

* * * * *

[1]
Compound: Li2Fe2Si4O11
Source: the Materials Project
Functional: PBE with a Hubbard U
Structure: optimized geometry Values from VASP.

Results
- Theoretical density: 3.189 g cm⁻³
- ΔH_f (0 K): -2022 meV per atom
- Calculated total energy: -246.48 eV for the cell shown

The structure in Quantum ESPRESSO input format:
```
&SYSTEM
  ibrav = 0, nat = 38, ntyp = 4
/
ATOMIC_SPECIES
Li 6.94 Li.upf
Fe 55.84 Fe.upf
Si 28.09 Si.upf
O 16.00 O.upf
CELL_PARAMETERS angstrom
7.0524 0.0000 0.0000
-1.9160 7.2928 0.0000
-1.6987 -1.9356 8.3812
ATOMIC_POSITIONS crystal
Li 0.2041 0.3015 0.3903
Li 0.2456 0.3492 0.8555
Li 0.7544 0.6508 0.1445

Job =
It remains to reproduce only the last part of the material above, starting with the line that has "0.000 0.125".

Worked solution =
1 In 0.000 0.125 0.000
2 P 0.054 0.076 0.539
3 P 0.485 0.174 0.538
4 H 0.114 0.435 0.933
5 H 0.122 0.299 0.597
6 H 0.143 0.250 0.837
7 H 0.191 0.500 0.334
8 H 0.297 0.236 0.776
9 H 0.320 0.315 0.935
10 H 0.366 0.126 0.727
11 H 0.474 0.049 0.095
12 H 0.476 0.014 0.773
13 N 0.067 0.476 0.785
14 N 0.219 0.275 0.788
15 O 0.002 0.247 0.966
16 O 0.178 0.372 0.176
17 O 0.287 0.071 0.736
18 O 0.317 0.127 0.289
19 O 0.448 0.179 0.736
20 O 0.462 0.497 0.464
21 O 0.472 0.377 0.789
22 O 0.497 0.378 0.175


# 6
Entry from Materials Project: Hf5Sn4 after structural relaxation (r2SCAN).

Computed properties:
The density comes out at 11.7 g/cm3. For the formation energy from the elements, the calculation gives -437.3 meV/atom. The value obtained for the uncorrected energy is -36.520 eV/atom.

Lattice parameters (Å, degrees): 8.7254 8.7254 5.8692 90.00 90.00 120.00
Space group P6_3/mcm (No. 193)
Unique sites:
1 Hf 0.0000 0.2816 0.2500
2 Hf 0.3333 0.6667 0.0000
3 Sn 0.0000 0.0000 0.0000
4 Sn 0.0000 0.3874 0.7500

* * * * *

[1]
Compound: Li2Fe2Si4O11
Source: the Materials Project
Functional: PBE with a Hubbard U
Structure: optimized geometry Values from VASP.

Results
- Theoretical density: 3.189 g cm⁻³
- ΔH_f (0 K): -2022 meV per atom
- Calculated total energy: -246.48 eV for the cell shown

The structure in Quantum ESPRESSO input format:
```
&SYSTEM
  ibrav = 0, nat = 38, ntyp = 4
/
ATOMIC_SPECIES
Li 6.94 Li.upf
Fe 55.84 Fe.upf
Si 28.09 Si.upf
O 16.00 O.upf
CELL_PARAMETERS angstrom
7.0524 0.0000 0.0000
-1.9160 7.2928 0.0000
-1.6987 -1.9356 8.3812
ATOMIC_POSITIONS crystal
Li 0.2041 0.3015 0.3903
Li 0.2456 0.3492 0.8555
Li 0.7544 0.6508 0.1445